What the heck is Quora anyway?

Kunjal Chawhan
Published in
6 min readSep 29, 2018

Every wannabee Digital Marketer needs to read this article.

You will learn the ways to exploit the potential of Quora for Digital Marketing in this post.

Here is a brief introduction of Quora

Quora is a question-answer community, where anyone can ask any question and others can weigh in to answer those.

The answers get upvotes, comments, and shares as a token of appreciation. It is like one of those times when your uploaded picture gets like on Facebook. People in this community can follow each other. Doing so you can keep tabs on the work of people you admire.

Quora is indeed a Social Media Platform. Period!

Quora is indeed a social media platform. It clearly has all the traits that you look for in a Social Media Platform.

  • 250 Million Active users
  • Diverse academic, professional & demographic backgrounds of people
  • Engagement through question answering, commenting, upvotes, sharing & messaging.
  • Placement of advertisement via text.
  • Targeting features.

That sounds like a perfect recipe for a social media platform.

Doesn’t it??

What makes Quora so useful for Digital Marketing?

As I have demonstrated already, Quora is a social networking site.

A platform that has a highly interactive & engaging community of a staggering 250 Million People. And that’s a huge number.

On Quora, you’re having 250 Million active users belonging to various demographic, psychographic & geographic backgrounds.

As a Social Media Marketer, you know what to do with all this data. What you do is create a clear & concise social media marketing strategy & bring that strategy to effect.

As a Digital Marketer, your job on Quora is to build brand awareness.

By building brand awareness, you will give rise to a funnel.

Yes, it is possible.

This isn’t daydreaming. Quora acts as a framework for you to affect your long-term strategy.

Let’s learn how YOU can put digital marketing strategy into effect using Quora

Build Authority:

Quora acts as a great platform to build authority in the niche that you cater. If the information that you provide through answers is valuable to your target audience, they will long to read your answers.

They will not scroll down your answers without reading it. You will begin to get the answer requests once you establish your authority in the niche. Regular answering of questions is the best & only way to establish authority.

And believe me, it really doesn’t take long to reach that phase, only a few days of regular activity.

Let’s say you cater to Digital Marketing niche. You have a Digital Marketing course on Udemy.com upon which you wish to increase the sales.

What you can do with Quora is that you keep answering questions related to Digital Marketing only.

Soon your identity will become synonymous with Digital Marketing, people will Direct Message you so that you can help them out with their queries. You can engage with people in the comment section.

After a while, you can begin to mention at the end of your answers, that you have a course on Udemy.com with ‘X’ star rating. By now, you have built your authority, and will be in the position to influence their decision to take your course.

Let’s say the question that you just answered with your course’s mention garnered 20 k views and 11k upvotes, how many of those do you think will convert? Quite a lot I would say because that answer is directed to your ideal target audience. Not to mention the shares, DM’s, and mentions you can assimilate with that.

Get Click-through rate:

Materials data from another source follow >
'''
(1)
The following is a PBE with a Hubbard U calculation of Li3MnV4O12 after structural relaxation, from the Materials Project database.

The formation energy is -2.361 eV per atom. As for the space group: C2 (5). Its density is 2.99 g cm⁻³. The value obtained for the raw total energy is -7.055 eV per atom.

Cell: 6.961 6.961 5.840 Å, 74.16 74.16 83.13°
Sites, in units of the cell vectors:
V (0.799, 0.607, 0.521)
V (0.610, 0.803, 0.022)
V (0.393, 0.201, 0.479)
V (0.197, 0.390, 0.978)
O (0.791, 0.980, 0.913)
O (0.897, 0.371, 0.581)
O (0.629, 0.103, 0.419)
O (0.103, 0.633, 0.912)
O (0.643, 0.638, 0.313)
O (0.362, 0.357, 0.687)
O (0.020, 0.209, 0.087)
O (0.367, 0.897, 0.088)
O (0.357, 0.353, 0.191)
O (0.984, 0.778, 0.396)
O (0.222, 0.016, 0.604)
O (0.647, 0.643, 0.809)
Li (0.755, 0.245, 0.000)
Li (0.900, 0.100, 0.500)
Li (0.238, 0.762, 0.500)
Mn (0.085, 0.915, 0.000)


(2)
The following is a PBE with a Hubbard U calculation of Li9Mn2Co5O16 after structural relaxation, from the Materials Project database.

The formation energy is -1.804 eV per atom. As for the space group: Pm (6). Its density is 4.18 g cm⁻³. The value obtained for the raw total energy is -5.795 eV per atom.

Cell: 2.902 9.782 10.277 Å, 79.64 90.00 90.00°
Sites, in units of the cell vectors:
Li (0.500, 0.003, 0.754)
Li (0.500, 0.496, 0.492)
Li (0.500, 0.996, 0.244)
Li (0.000, 0.741, 0.892)
Li (0.500, 0.750, 0.129)
Li (0.500, 0.498, 0.009)
Li (0.000, 0.253, 0.623)
Li (0.000, 0.755, 0.357)
Li (0.000, 0.255, 0.128)
Mn (0.500, 0.750, 0.626)
Mn (0.000, 0.990, 0.007)
O (0.000, 0.862, 0.679)
O (0.000, 0.133, 0.320)
O (0.000, 0.886, 0.174)
O (0.000, 0.641, 0.572)
O (0.500, 0.628, 0.798)
O (0.500, 0.615, 0.311)
O (0.500, 0.116, 0.557)
O (0.000, 0.121, 0.826)
O (0.000, 0.367, 0.932)
O (0.500, 0.377, 0.693)
O (0.500, 0.877, 0.453)
O (0.500, 0.110, 0.053)
O (0.500, 0.380, 0.196)
O (0.500, 0.888, 0.945)
O (0.000, 0.370, 0.430)
O (0.000, 0.616, 0.070)
Co (0.000, 0.517, 0.236)
Co (0.500, 0.248, 0.874)
Co (0.000, 0.494, 0.753)
Co (0.500, 0.259, 0.371)
Co (0.000, 0.007, 0.496)


(3)
The following is a PBE with a Hubbard U calculation of Li5Co3O8 after structural relaxation, from the Materials Project database.

The formation energy is -1.698 eV per atom. As for the space group: P-1 (2). Its density is 3.99 g cm⁻³. The value obtained for the raw total energy is -5.451 eV per atom.

Cell: 4.991 5.799 5.918 Å, 60.56 75.28 73.02°
Sites, in units of the cell vectors:
O (0.235, 0.619, 0.600)
O (0.761, 0.402, 0.380)
O (0.247, 0.646, 0.115)
O (0.225, 0.148, 0.619)
O (0.765, 0.881, 0.900)
O (0.775, 0.352, 0.881)
O (0.239, 0.098, 0.120)
O (0.753, 0.854, 0.385)
Co (0.999, 0.004, 0.991)
Co (0.001, 0.496, 0.509)
Co (0.500, 0.750, 0.250)
Li (0.500, 0.750, 0.750)
Li (0.990, 0.003, 0.500)
Li (0.500, 0.250, 0.250)
Li (0.500, 0.250, 0.750)
Li (0.010, 0.497, 0.000)


(4)
The following is a PBE with a Hubbard U calculation of FeSO10 after structural relaxation, from the Materials Project database.
'''

Click-throughs are the traffic that you assimilate by sharing your links on websites. What you can do is, answer the question with hyperlinks pointing back to your website. Even better, you can camouflage those links with the text of your choice. For example, in Digital Marketing, text can be concealed a link to one of your blog posts about Digital Marketing.

Likewise, you will fetch additional traffic, who again is your target audience. If you haven’t tricked them in the answer or link, then those click-through’s will improve your site bounce rate. That’s because those are dedicated clicks. Maybe you have an opt-in form for Newsletter already triggered, the moment they opt-in your website, they are confronted by the opt-in form. As soon as they fill out that opt-in form they become your leads.

Influencer search engine:

You can use Quora as an influencer search engine. It is quite simple.

Just follow the steps.

  • Search the Topic (niche)
  • Select the Topic that it will result
  • In that Topic you can find, most viewed writers, ranked chronologically
  • Select the writer of your wish
  • You will be directed to his profile, from where you can find out whether he is on Facebook, LinkedIn, & Twitter.

P.S You can do some research on that most viewed writer, you can learn his writing style, you can learn about his choice and preferences.

Contact him there and then, and hire him to promote your product or service. If he is dominant on Facebook/Twitter/LinkedIn/Instagram, great! If not, you know he is already popular (and dominant) on Quora.

Maybe you can ask him to bring up your product or service in his answers. Similarly, you can find influencers according to the topic in every category. Using this feature prevents you from spending on costly influencer marketing tools like Upfluence & NinjaOutreach.

Not that these Influencer Search Engines are exploitative, as a matter of fact, these are great tools but costs a lot.

Brand Recognition:

Use the power of this question-answering community to build brand recognition.

In Quora, there’s a feature that works really well for brand recognition. If you have a company ‘XYZ’, you can create a topic on Quora. The topic will be your company’s name and will have the company’s logo to it along with the description. Pretty cool, right?? Now, every time someone asks a question regarding your company, it will add to your company’s topic that you created.

As your brand’s recognition rises, people will start following your brand’s topic. And did I mention that you can follow topics??

YES, you can!

Now that people follow your brand’s topic, every time a question is asked regarding your company, they will get it in their feed.

Keyword Research:

Using Quora, you can do keyword research for your upcoming blog.

I mean let’s face it. Quora is the internet’s one of the most talked about place, involving a lot of text, you certainly can pick up, trends, phrases, keywords, headline ideas, words that are hot right now, and some unique keywords.

Using Quora, you will uncover unique keywords. The keywords that your target customers are already using

Just put your ‘keyword’ in search and press enter.

As a result, it will reflect all the data recorded on Quora containing your keyword. This includes Questions, Answers, Topics, & Links as well.

And here’s a catch. Quora wouldn’t charge you a dime for that.

Let’s take a quick recap, as to how Digital Marketers are already capitalizing on Quora

  1. You can build authority
  2. You can get click-through rates
  3. Use Quora as an influencer search engine
  4. Brand Recognition
  5. Keyword Research

Additional Resources:

What is Digital Marketing? How do I learn it?

6 Awesome ways to Monetize your Blog

What is Content? Learn what it takes to create irresistible content?

Originally published at decodedigitalmarket.com.

